Issue 1-2013 |
CONTENT № 1 (59) – 2013 (January – March) THE TWENTY-FIFTH ANNIVERSARY OF ISESP RAS Rimashevskaya N.M. Main results of the institute activities over a quarter of century ……………………………….. 4 Yakovets Yu.V. Natalia Mikhailovna Rimashevskaya — founder of the institute…………………………………………. 11 Ivanter V.V. Statistics of social inequality………………………………………………………………………………………………….. 17 Lokosov V.V. Perspectives of the ISESP RAS scientific activities: methodological approaches……………………… 20 SOCIAL POLICY Zherebin V.M. Urgent tasks of the modern social policy…………………………………………………………………………… 23 Rimashevskaya N.M., Dobrokhlev V.G . Main directions of improvement of the demographic and family-related policy in modern Russia……………………………………………………………………………………………………………….. 30 Migranova L.A. Subsistence minimum 2013 — «new» methods, old problems………………………………………….. 42 Medvedeva E.I., Kroshilin S.V. Significance of the primary vocational education for innovation economy in Russia……………………………………………………………………………………………………………………………………………………... 52 Ballayeva E.A. Problems of development of alternative forms of preschool education……………………………….. 64 Korchagina I.I., Migranova L.A. Social assistance to poor households on the basis of social contract………… 74 Yermakov S.P. Socio-demographic problems of youth in the Russian Federation……………………………………… 87 Kochkina E.V. Exercise of the right to legislative initiative for development of laws in the social sphere (1996-2012)……………………………………………………………………………………………………………………………………………. 98 QUALITY OF LIFE Riazantsev S.V., Pismennaya E.E. Integration of the Russia-speaking community into Australian society.. 106 Rakauskene O., Syarvyatkene V. Quality of life of the Lithuanian population………………………………………… 111 Vershinskaya O.N., Galyuzhin A.Yu. Economic capacity of Internet ……………………………………………………… 126 Authors………..……………………………………………………………………………………………………………………………………….. 138 Summary in Russia………………….…………………………………………………………………………………………………………….. 139 Summary in English………………………………………………………………………………………………………………………………. 142 Guidelines for authors..………………………………………………………………………..……………………………………………… … 145
(Data records, kept here for reference)
........
1.
The following is a DFT calculation (PBE with a Hubbard U) of an optimized crystal structure of BeCo2O4.

Structure (CIF):
```
data_BeCo2O4
_symmetry_space_group_name_H-M 'P n m a'
_symmetry_Int_Tables_number 62
_cell_length_a 8.998
_cell_length_b 2.893
_cell_length_c 9.304
_cell_angle_alpha 90.00
_cell_angle_beta 90.00
_cell_angle_gamma 90.00
loop_
_symmetry_equiv_pos_as_xyz
'x,y,z'
'-x,-y,-z'
'-x+1/2,-y,z+1/2'
'x+1/2,y,-z+1/2'
'x+1/2,-y+1/2,-z+1/2'
'-x+1/2,y+1/2,z+1/2'
'-x,y+1/2,-z'
'x,-y+1/2,z'
loop_
_atom_site_label
_atom_site_fract_x
_atom_site_fract_y
_atom_site_fract_z
Be1 0.146 0.250 0.111
Co1 0.119 0.250 0.430
Co2 0.129 0.250 0.799
O1 0.017 0.250 0.615
O2 0.021 0.750 0.875
O3 0.234 0.250 0.252
O4 0.245 0.250 0.973
```

## Properties
* crystal system: orthorhombic
* formation enthalpy at 0 K: -1.714 eV/atom


2.
The following is a DFT calculation (PBE with a Hubbard U) of an optimized crystal structure of Sr2ZnWO6.

Structure (CIF):
```
data_Sr2ZnWO6
_symmetry_space_group_name_H-M 'P 1 21/c 1'
_symmetry_Int_Tables_number 14
_cell_length_a 5.737
_cell_length_b 5.675
_cell_length_c 9.872
_cell_angle_alpha 90.00
_cell_angle_beta 125.43
_cell_angle_gamma 90.00
loop_
_symmetry_equiv_pos_as_xyz
'x,y,z'
'-x,-y,-z'
'-x,y+1/2,-z+1/2'
'x,-y+1/2,z+1/2'
loop_
_atom_site_label
_atom_site_fract_x
_atom_site_fract_y
_atom_site_fract_z
Sr1 0.247 0.013 0.250
Zn1 0.500 0.000 0.000
W1 0.000 0.000 0.500
O1 0.190 0.240 0.970
O2 0.228 0.721 0.970
O3 0.296 0.005 0.739
```

## Properties
* crystal system: monoclinic
* formation enthalpy at 0 K: -2.683 eV/atom


3.
The following is a DFT calculation (PBE with a Hubbard U) of an optimized crystal structure of TiVP3O12.

Structure (CIF):
```
data_TiVP3O12
_symmetry_space_group_name_H-M 'R 3 c'
_symmetry_Int_Tables_number 161
_symmetry_space_group_name_Hall 'R 3 -2"c'
_cell_length_a 8.5902
_cell_length_b 8.5902
_cell_length_c 21.6043
_cell_angle_alpha 90.00
_cell_angle_beta 90.00
_cell_angle_gamma 120.00
loop_
_atom_site_label
_atom_site_fract_x
_atom_site_fract_y
_atom_site_fract_z
Ti1 0.0000 0.0000 0.0000
V1 0.0000 0.0000 0.2228
P1 0.0548 0.3835 0.2784
O1 0.0141 0.1894 0.5537
O2 0.0349 0.1927 0.2717
O3 0.1577 0.4676 0.6182
O4 0.1696 0.4709 0.3370
```

## Properties
* crystal system: trigonal
* formation enthalpy at 0 K: -2.758 eV/atom


4.
The following is a DFT calculation (PBE with a Hubbard U) of an optimized crystal structure of MgRe2W2O12.

Structure (CIF):
```
data_MgRe2W2O12
_symmetry_space_group_name_H-M 'P 1'
_symmetry_Int_Tables_number 1
_cell_length_a 5.282
_cell_length_b 5.349
_cell_length_c 7.625
_cell_angle_alpha 90.00
_cell_angle_beta 89.88
_cell_angle_gamma 89.99
loop_
_symmetry_equiv_pos_as_xyz
'x,y,z'
loop_
_atom_site_label
_atom_site_fract_x
_atom_site_fract_y
_atom_site_fract_z
Mg1 0.000 0.000 0.000
Re1 0.005 0.465 0.252
Re2 0.512 0.966 0.747
W1 0.011 0.468 0.744
W2 0.507 0.963 0.256
O1 0.067 0.496 0.496
O2 0.191 0.778 0.192
O3 0.196 0.782 0.807
O4 0.298 0.258 0.226
O5 0.308 0.258 0.772
........
Summary Vsevolod M. Zherebin Urgent tasks of the modern social policy Key words: social policy, economic policy, social and class structure of society, social policy tasks. The article considers the goals of modern social policy in terms of their conformity to the interests of most population. It compares the goals of the social and economic policy. It offers a list of specific tasks that are topical from the point of modern social policy
Natalia M. Rimashevskaya, Valentina G. Dobrokhlev Main directions of improvement of the demographic and family-related policy in modern Russia Key words: natural increase of population, depopulation, fertility, individual and population health, pronatalist and social policy The article analyses the natural increase of the Russian population. It shows that the demographic changes are to a certain degree connected with the active demographic policy measures, including enactment of maternal (family) capital. A special consideration is given to indicators of population health. There are examined the main factors determining the process of natural reproduction, and first of all, those having impact on fertility rate. The authors propose directions for improvement of the demographic and pronatalist policy.
Lyudmila A. Migranova Subsistence minimum 2013 — «new» methods, old problems Key words: subsistence minimum, food, non-food products and services, the minimum needs, the reproduction of the population. The article provides a comparative analysis of the norms food consumption of food the supply in to the minimum consumption basket for different socio-demographic groups in 2005 and 2013. On the statistical data it shows that correlation between the costs of food and the costs of services underestimated and do not correspond to the current structure of consumption expenditure of poor households.
Elena I. Medvedeva, Sergey V. Kroshilin S.V. Significance of the primary vocational education for innovation economy in Russia Key words: education, primary and secondary vocational education, modernization of economy, innovations Changes in requirements to the quality of human and labour potential, as well as in labour demand under the conditions of modernization of the Russian economy are going simultaneously with the reformation of the education system. On the basis of data from a sample survey of the 9th form pupils of general schools and experts the authors consider the problem of youth’s education in the institutions of primary and secondary vocational education from the point of the government decisions in this sphere.
Elena A. Ballayeva Problems of development of alternative forms of preschool education Key words: preschool education, upbringing, education, affordability of services, demand for services The article analyses the problems of development of private sector in the system of preschool education, its potential ability to satisfy demand for services in care, education and upbringing of preschool children, as well as affordability of these services to different social strata. A special attention is paid to efficiency of the present legislation and the governmental decisions aimed at development of the system of preschool education.
Irina I. Korchagina, Lyudmila A. Migranova Social assistance to poor households on the basis of social contract Key words: poor households, social contract, subject of contract, difficult situation, behaviour strategy, potential participants The article deals with the issues of introduction of social contract into the practice of social assistance to poor population; it analyses the outcomes of an experimental implementation of this technology, conducted by the Ministry of Labour and Social Development in 2010- 2011 in 17 RF subjects ; on the data from sociological surveys it gives assessment of potential participants in such programmes and considers adaptation strategies of households in difficult situation.
Sergey P. Yermakov Socio-demographic problems of youth in the Russian Federation Key words: youth sector in the Russian population, demographic state, population reproduction, fertility, marriages, mortality, youth-related policy The article presents the results of a socio-demographic analysis of the youth sector of the Russian Federation population in 1990-2010. It examines the issues of fertility, marriages, mortality of people aged 15-29 years. It analyses the demographic state and the main trends in dynamics of the population reproduction indicators. There are formulated recommendations for improvement of the youth-related policy.
Sergey V. Riazantsev, Elena E.Pismennaya Integration of the Russia-speaking community into Australian society Keywords : Russian-speaking diaspora, the Russian migration, integration. This article discusses the waves of Russian immigration to Australia. The results of the study of the process of integration of Russian migrants in Australian society. Gives estimates of the degree of integration of the Russian in the host society.
Ona G. Rakauskene, Vaida Syarvyatkene Quality of life of the Lithuanian population Key words: quality of life, satisfaction with life, physical and emotional state, health, material well-being, efficiency of the state policy The article presents the outcomes of a study conducted by the authors in 2011 on the data from official statistics and a sociological survey aimed at getting a clearer picture of the Lithuanian population’s satisfaction with life and its quality. There are provided the data on Lithuania’s ranking among the EU countries by main indicators of the quality of life.
Crystal structures, kept here for reference
/*
1.
DFT (PBE-GGA) results for a relaxed structure of MgAg2Br2O4.

Lattice parameters (Å, degrees): 4.363 3.782 10.518 90.00 99.45 90.00
Space group Pm (No. 6)
One atom of each set of equivalent atoms:
Mg (0.000, 0.000, 0.000) [1 per cell]
Ag (0.310, 0.500, 0.288) [1 per cell]
Ag (0.952, 0.000, 0.548) [1 per cell]
Br (0.453, 0.500, 0.554) [1 per cell]
Br (0.799, 0.000, 0.262) [1 per cell]
O (0.049, 0.000, 0.796) [1 per cell]
O (0.176, 0.500, 0.053) [1 per cell]
O (0.332, 0.000, 0.860) [1 per cell]
O (0.845, 0.500, 0.990) [1 per cell]

## Properties
For the MP2020-corrected energy, the calculation gives -35.2 eV per cell. The polymorph energy (0 for the lowest one) comes out at 6.2 meV per atom.

---

2.
DFT (PBE-GGA) results for a relaxed structure of Rb2NdAgBr6.

Lattice parameters (Å, degrees): 11.499 11.499 11.499 90.00 90.00 90.00
Space group Fm-3m (No. 225)
One atom of each set of equivalent atoms:
Rb (0.250, 0.250, 0.250) [8 per cell]
Nd (0.000, 0.000, 0.000) [4 per cell]
Ag (0.000, 0.000, 0.500) [4 per cell]
Br (0.000, 0.000, 0.251) [24 per cell]

## Properties
For the MP2020-corrected energy, the calculation gives -151.7 eV per cell.

---

3.
DFT (PBE-GGA) results for a relaxed structure of Rb2AgSbBr6.

Lattice parameters (Å, degrees): 11.311 11.311 11.311 90.00 90.00 90.00
Space group Fm-3m (No. 225)
One atom of each set of equivalent atoms:
Rb (0.250, 0.250, 0.250) [8 per cell]
Ag (0.000, 0.000, 0.000) [4 per cell]
Sb (0.000, 0.000, 0.500) [4 per cell]
Br (0.000, 0.000, 0.251) [24 per cell]

## Properties
For the MP2020-corrected energy, the calculation gives -129.7 eV per cell.

---

Number 1: DFT total energy -3.8348 eV/atom, formation enthalpy at 0 K -12.366 kcal/mol of atoms. Number 2: DFT total energy -3.4714 eV/atom, formation enthalpy at 0 K -42.741 kcal/mol of atoms. Number 3: DFT total energy -2.9213 eV/atom, formation enthalpy at 0 K -31.531 kcal/mol of atoms.
*/
Olga N. Vershinskaya, Alexey Yu. Galyuzhin Economic capacity of Internet Key words: new economic opportunities, internet-economy, causes of success of the Russian internet-economy, impact of Internet on GDP, advantages of conducting business in Internet The article considers new opportunities for development of business provided by Internet, analyses the causes and rates of growth of the Internet economy in Russia. It discusses the increasing role of the Internet economy in production of GDP. The authors are of the opinion that the dynamics of development of this new branch may be due to socio-cultural specifics of the Russian population. They draw a conclusion that when investigating the issues of informatisation development it is necessary to supplement the generally accepted technological approach with a humanitarian one aimed at studying a person and opportunities for his development in the digital age. |